By the company that invented it
First Come The Innovators, Then Come The Imitators
– – – Warren Buffet – – –
Don’t be fooled by “imitations”. SkyTracker™ is the most robust, versatile and cost-effective remote-tank monitoring system in the world.
- 21 years to develop
- Capitalized with over $6.8 million
- 12 years of transmission histories
- 10 years in the remote tank monitoring business
- A Multi-Million Dollar, international, debt-free
- company A remote tank level monitor made by propane dealers for propane dealers!
Records of crystals, kept here for reference =
<<<
Starting from DFT lattice parameters and positions (PBE), the X-ray powder pattern of Sr3Mg2Hg was computed for λ = 1.5418 Å (Cu Kα).
No peak broadening, texture or thermal motion is included.

Structural model:
Cell lengths 4.1142, 4.1142, 12.3424 Å; angles 90.00, 90.00, 90.00 degrees
Space group P4/mmm (No. 123)
Inequivalent atoms, fractional coordinates:
Sr1 0.0000 0.0000 0.0000
Sr2 0.0000 0.0000 0.3446
Mg1 0.5000 0.5000 0.1690
Hg1 0.5000 0.5000 0.5000

Largest 10 diffraction maxima, by angle, 2θ = 15–90°:
hkl  2θ (°)  I (rel.)
1 0 1  22.78  14
1 0 2  26.03  8
1 1 0  30.73  100
1 1 1  31.60  8
1 0 4  36.40  8
2 0 0  44.02  18
2 1 3  54.64  38
2 2 0  64.01  12
3 1 0  72.68  16
3 2 3  89.03  19

----------

This entry pairs a crystal structure of CsMnBr3O2 with its simulated XRD peak list. Radiation: Cu Kα X-rays. Structure: a cell relaxed with PBE+U.
Kinematic intensities with the Lorentz-polarization factor, no thermal factor.

Largest 10 diffraction maxima, sorted by position, 15 to 90 degrees two-theta:
two_theta, I (rel.), hkl
16.35, 20, 1 0 2
16.74, 22, 1 1 1
26.69, 26, 0 0 4
29.32, 100, 1 2 2
31.00, 23, 2 2 0
31.91, 49, 3 0 2
33.05, 22, 2 0 4
41.36, 26, 2 2 4
46.29, 19, 4 2 0
48.78, 19, 1 2 6

```
data_CsMnBr3O2
_symmetry_space_group_name_H-M 'P c c a'
_symmetry_Int_Tables_number 54
_cell_length_a 9.269
_cell_length_b 7.367
_cell_length_c 13.362
_cell_angle_alpha 90.00
_cell_angle_beta 90.00
_cell_angle_gamma 90.00
loop_
_symmetry_equiv_pos_as_xyz
'x,y,z'
'-x,-y,-z'
'-x+1/2,-y,z'
'x+1/2,y,-z'
'x+1/2,-y,-z+1/2'
'-x+1/2,y,z+1/2'
'-x,y,-z+1/2'
'x,-y,z+1/2'
loop_
_atom_site_label
_atom_site_fract_x
_atom_site_fract_y
_atom_site_fract_z
_atom_site_occupancy
Cs1 0.250 0.000 0.117 1
Mn1 0.000 0.450 0.250 1
Br1 0.110 0.232 0.367 1
Br2 0.250 0.500 0.136 1
O1 0.027 0.284 0.796 1
```

----------

No. 1
Li2Tb2HoMg5: calculated X-ray diffraction stick pattern (Cu Ka), based on a cell relaxed with GGA-PBE.
Intensities are scaled so that the largest is 100.

Peak list (6 most intense, 2θ = 10–90°, low angle first)
Position (°2θ), Rel. int.
18.78, 59
20.14, 47
26.68, 45
27.67, 79
31.39, 54
33.65, 100

Crystal structure
a = 10.5667 Å, b = 10.5667 Å, c = 4.4088 Å
α = 90.00°, β = 90.00°, γ = 90.00°
Element x y z (fractional)
Li 0.1150 0.3850 0.0000
Li 0.3850 0.8850 0.0000
Li 0.6150 0.1150 0.0000
Li 0.8850 0.6150 0.0000
Tb 0.1799 0.6799 0.0000
Tb 0.3201 0.1799 0.0000
Tb 0.6799 0.8201 0.0000
Tb 0.8201 0.3201 0.0000
Ho 0.0000 0.0000 0.0000
Ho 0.5000 0.5000 0.0000
Mg 0.0000 0.5000 0.5000
Mg 0.0631 0.2135 0.5000
Mg 0.2135 0.9369 0.5000
Mg 0.2865 0.4369 0.5000
Mg 0.4369 0.7135 0.5000
Mg 0.5000 0.0000 0.5000
Mg 0.5631 0.2865 0.5000
Mg 0.7135 0.5631 0.5000
Mg 0.7865 0.0631 0.5000
Mg 0.9369 0.7865 0.5000


No. 2
La6In2CoRu: calculated X-ray diffraction stick pattern (Cu Ka), based on a cell relaxed with GGA-PBE.
Intensities are scaled so that the largest is 100.

Peak list (6 most intense, 2θ = 10–90°, low angle first)
Position (°2θ), Rel. int.
28.64, 100
33.16, 64
>>>
The records of crystals stop here =

MYTH Battery-operated monitoring systems are “a maintenance nightmare, requiring constant battery replacement.”
FACT With SkyTracker™, installation can be performed by anyone in under 3 minutes. Peel, stick, and plug – you’re done; no serviceperson to hard-wire 110-volt power, no telephone lines or cellular contraptions and there is no need to attach a relay device to the customer’s house/power or to ever enter the customer’s home or business.
The piece is interrupted by crystal structures =
<<<
[1]
Diffraction record for YZn11. The powder XRD pattern is computed, not measured: it uses a DFT-relaxed cell (GGA-PBE, OQMD) and a wavelength of 1.5418 Å.
No peak broadening, texture or thermal motion is included.

Structure:
Unit cell a=8.184 b=8.184 c=8.184 alpha=99.88 beta=99.88 gamma=131.07
Sites, in units of the cell vectors:
Y  0.375  0.625  0.750
Y  0.625  0.375  0.250
Zn  0.000  0.000  0.000
Zn  0.000  0.000  0.500
Zn  0.000  0.500  0.000
Zn  0.125  0.875  0.250
Zn  0.131  0.555  0.334
Zn  0.131  0.796  0.576
Zn  0.204  0.279  0.334
Zn  0.204  0.869  0.924
Zn  0.279  0.204  0.834
Zn  0.279  0.445  0.076
Zn  0.445  0.279  0.576
Zn  0.445  0.869  0.166
Zn  0.500  0.000  0.500
Zn  0.555  0.131  0.834
Zn  0.555  0.721  0.424
Zn  0.721  0.555  0.924
Zn  0.721  0.796  0.166
Zn  0.796  0.131  0.076
Zn  0.796  0.721  0.666
Zn  0.869  0.204  0.424
Zn  0.869  0.445  0.666
Zn  0.875  0.125  0.750

The 6 most intense peaks (15° ≤ 2θ ≤ 90°), in order of falling intensity:
37.87°, rel. 100
45.06°, rel. 92
38.21°, rel. 75
46.97°, rel. 39
33.39°, rel. 36
40.84°, rel. 34

[2]
Diffraction record for TaSe4Cl6. The powder XRD pattern is computed, not measured: it uses a DFT-relaxed cell (GGA-PBE, OQMD) and a wavelength of 1.5418 Å.
No peak broadening, texture or thermal motion is included.

Structure:
Unit cell a=7.387 b=7.504 c=7.999 alpha=66.91 beta=70.54 gamma=63.22
Sites, in units of the cell vectors:
Ta  0.000  0.000  0.000
Se  0.313  0.458  0.683
Se  0.403  0.750  0.494
Se  0.597  0.250  0.506
Se  0.687  0.542  0.317
Cl  0.017  0.129  0.222
Cl  0.144  0.657  0.181
Cl  0.340  0.991  0.844
Cl  0.660  0.009  0.156
Cl  0.856  0.343  0.819
Cl  0.983  0.871  0.778

The 6 most intense peaks (15° ≤ 2θ ≤ 90°), in order of falling intensity:
16.55°, rel. 100
15.45°, rel. 56
15.61°, rel. 53
22.83°, rel. 44
33.67°, rel. 24
37.13°, rel. 15

[3]
Diffraction record for Tm2Fe3B4Ir2. The powder XRD pattern is computed, not measured: it uses a DFT-relaxed cell (GGA-PBE, OQMD) and a wavelength of 1.5418 Å.
No peak broadening, texture or thermal motion is included.

Structure:
Unit cell a=7.167 b=6.154 c=5.257 alpha=77.38 beta=56.91 gamma=45.71
Sites, in units of the cell vectors:
Tm  0.145  0.145  0.855
Tm  0.855  0.855  0.145
Fe  0.250  0.250  0.250
Fe  0.500  0.500  0.500
Fe  0.750  0.750  0.750
B  0.208  0.510  0.490
B  0.490  0.792  0.208
B  0.510  0.208  0.792
B  0.792  0.490  0.510
Ir  0.000  0.000  0.500
Ir  0.500  0.500  0.000

The 6 most intense peaks (15° ≤ 2θ ≤ 90°), in order of falling intensity:
39.28°, rel. 100
38.02°, rel. 73
31.05°, rel. 60
39.75°, rel. 47
47.35°, rel. 43
42.17°, rel. 33

* * * * *

No. 1
Computed powder diffractogram
Compound: Li4Mn3Cu3Sn2O16
Radiation: Cu Kα X-rays
Structure: a cell relaxed with PBE+U
Kinematic intensities with the Lorentz-polarization factor, no thermal factor.

Top 12 peaks for 2θ from 10° to 80°, sorted by position:
- 18.24 deg, d 4.864, rel. 45
- 19.03 deg, d 4.663, rel. 50
- 19.37 deg, d 4.581, rel. 53
>>>
FACT Maintenance of SkyTracker™ is limited to battery replacement and SkyTracker™ is not subject to utility power failures or power interruptions, as competitor’s systems can be.
FACT To change batteries in SkyTracker™, a phillipshead screwdriver is all that is required and battery change-out is UL and ETL approved to be at the tank. No need to disassemble the monitor to change batteries, which is required by ETL/UL in competitors’ systems. In addition, SkyTracker™ will notify you well in advance of battery depletion. Your route driver can replace the battery pack in seconds during regular product delivery—no special trips are required.
MYTH Batteries need to be “continually replaced after 200 transmissions.”
FACT SkyTracker’s™ standard battery pack is warranted for 200 transmissions, but delivers between 280 to 300 transmissions—a service life of approximately 2 years for the average light commercial or residential customer. This allows ample time to schedule battery replacements on regular delivery routes. There is no need for special trips or service calls. Replacement is easy and can be performed at the tank.
FACT SkyTracker’s™ power option for highconsumption users includes an Extended Life Battery Pack , which is warranted for 800 transmissions but deliver 900 to 1,100 transmissions—about 8 to 9 years for a normal residential application.
FACT For applications where constant power is needed, SkyTracker™ has always had the ETL and UL (CA and ANSI) approval to be powered externally by using any 12-volt source, solar panel, 110 converted to 12-volt or auto battery.
MYTH Stand-alone systems “need a satellite transmitter for each tank…increasing your monitoring fees.”
FACT One SkyTracker™ can monitor any number of manifold storage containers and can perform a number of other tasks, for example: low-temperature sensing, out-of-ordinary events, monitoring of harmful gases (CO, 3H8), Murphy Switches, etc.
FACT Do not be mislead. SkyTracker™, as with competitor’s systems, pays a transmission fee for each report sent to orbital satellites, regardless of the number of monitors used. Insite, however, “pools” transmissions of all SkyTrackers™ a dealer owns and calculates billing over an entire year, saving you money from end-user variance(s) and if your customer is seasonal. Even if a particular application requires constant tank monitoring throughout the year, unused transmissions from seasonal tanks can be used to off-set the heavy user. You never “waste” transmissions with SkyTracker™. Competitor imitations may very well cost you more than SkyTracker™. Check how you will be charged.
FACT The competitor who makes the claim that SkyTracker™ is more expensive because you have to buy a unit for each tank that is to be monitored, forgets to mention that they charge you for their cellular transmitter, Hall Sensor cable and battery that has to be installed on each and every tank for their system to work. Add to the fact that you still must have a service-technician hard-wire their transmission controller that governs the target tanks to the customer’s 110-volt power, and any savings that might be in equipment is mitigated with its cost of installation. And, such a system is still subject to intermittent or long-term power failure(s). In those systems, there is little bargain for you or your customer. In the end, you pay a high cost for an inefficient imitation! It is much more cost-effective to stay with the original, SkyTracker™.
MYTH “No satellite monitor could ever be ETL or UL approved”
FACT SkyTracker™ is the ONLY monitoring solution via satellite that is both ETL- and ULlisted, approved for use in the US and Canada with all hazardous materials, and tested for use in environments where propane is present.
Of course, we realize that “imitation is the sincerest form of flattery” and we appreciate the publicity. But if it costs you money, we do not want you to be fooled by our competitors false claims.
# Crystal structures, kept here for reference
- - -
# 1
Starting from a crystal structure in the Materials Project, relaxed with GGA+U, the powder diffraction line list of LiCr2O4 was computed for Cu Ka.
Intensities are scaled so that the largest is 100.

Principal peaks in the range 2θ = 10–90°, low angle first:
two_theta, I (rel.)
17.91, 100
35.66, 21
35.89, 10
42.96, 38
43.18, 19
46.91, 6
56.35, 10
61.77, 9
62.88, 5
63.33, 10
66.39, 8
80.47, 5

```
data_LiCr2O4
_chemical_formula_sum 'Li2 Cr4 O8'
_cell_length_a 5.077
_cell_length_b 2.956
_cell_length_c 10.466
_cell_angle_alpha 90.00
_cell_angle_beta 108.83
_cell_angle_gamma 90.00
_space_group_name_H-M_alt 'P 1 2/c 1'
_space_group_IT_number 13
loop_
_space_group_symop_operation_xyz
'x,y,z'
'-x,-y,-z'
'-x,y,-z+1/2'
'x,-y,z+1/2'
loop_
_atom_site_label
_atom_site_fract_x
_atom_site_fract_y
_atom_site_fract_z
_atom_site_occupancy
Li1 0.000 0.003 0.250 1
Cr1 0.000 0.500 0.000 1
Cr2 0.500 0.000 0.000 1
O1 0.221 0.015 0.102 1
O2 0.248 0.500 0.394 1
```

# 2
Starting from a crystal structure in the Materials Project, relaxed with GGA+U, the powder diffraction line list of Ba2NbVO6 was computed for Cu Ka.
Intensities are scaled so that the largest is 100.

Principal peaks in the range 2θ = 10–90°, low angle first:
two_theta, I (rel.)
30.66, 51
30.81, 100
37.91, 19
43.91, 33
44.34, 16
54.54, 20
54.65, 20
54.87, 19
64.17, 20
72.56, 13
73.18, 8
88.97, 8

```
data_Ba2NbVO6
_chemical_formula_sum 'Ba8 Nb4 V4 O24'
_cell_length_a 8.245
_cell_length_b 8.250
_cell_length_c 10.035
_cell_angle_alpha 114.15
_cell_angle_beta 114.23
_cell_angle_gamma 90.16
_space_group_name_H-M_alt 'P -1'
_space_group_IT_number 2
loop_
_space_group_symop_operation_xyz
'x,y,z'
'-x,-y,-z'
loop_
_atom_site_label
_atom_site_fract_x
_atom_site_fract_y
_atom_site_fract_z
_atom_site_occupancy
Ba1 0.124 0.125 0.250 1
Ba2 0.126 0.626 0.250 1
Ba3 0.374 0.376 0.750 1
Ba4 0.375 0.875 0.750 1
Nb1 0.000 0.000 0.500 1
Nb2 0.250 0.750 0.000 1
Nb3 0.500 0.500 0.500 1
V1 0.000 0.500 0.500 1
V2 0.250 0.250 0.000 1
V3 0.500 0.000 0.500 1
O1 0.001 0.753 0.500 1
O2 0.003 0.750 0.000 1
O3 0.125 0.125 0.750 1
O4 0.125 0.625 0.750 1
O5 0.246 0.000 0.500 1
O6 0.250 0.505 0.000 1
O7 0.250 0.995 0.000 1
O8 0.254 0.501 0.500 1
O9 0.375 0.375 0.250 1
O10 0.375 0.875 0.250 1
O11 0.497 0.750 0.000 1
O12 0.500 0.253 0.500 1
```

=====

Record 1
Calculated PXRD pattern of La2PrCdHg4 for Cu Kα (λ = 1.5418 Å), from the PBE geometry in Alexandria.

Peak list (10 most intense, 2θ from 5° to 70°, in order of falling intensity)
2θ = 32.42°, intensity 100, (0 1 8); 2θ = 33.72°, intensity 97, (1 1 0); 2θ = 59.49°, intensity 36, (1 2 8); 2θ = 47.48°, intensity 35, (2 0 8); 2θ = 60.31°, intensity 18, (3 0 0); 2θ = 57.00°, intensity 16, (1 0 16); 2θ = 23.22°, intensity 10, (1 0 4); 2θ = 67.89°, intensity 10, (0 2 16); 2θ = 45.14°, intensity 4, (1 1 9); 2θ = 52.62°, intensity 4, (1 1 12)

Atomic structure:
a = 5.3164 Å, b = 5.3164 Å, c = 27.6045 Å
α = 90.00°, β = 90.00°, γ = 120.00°
Space group R-3m (No. 166, hexagonal axes)
- - -
Download the The Facts about Satellite Monitoring brochure.